Request:
The reader should write out the whole of the entries further below verbatim.
Input:
********
Computed, not measured: an isolated molecule of C3HBrN2 at a distorted geometry, with wB97M-V/def2-TZVPD.

Atoms and positions in Å:
N -0.450 -1.974 -1.315
C -0.235 -1.175 -0.531
C 0.001 -0.088 0.378
Br 1.977 -0.151 0.686
C -0.304 1.291 -0.201
N -0.580 2.381 -0.432
H -0.409 -0.284 1.415

Forces on atoms 1 to 2 (eV/Å):
-0.1096 -0.7271 -0.4660
-0.5705 0.4709 -0.0486

Results
E_tot = -76148.1400 eV
Net charge = 0
Spin multiplicity = 1
Energy above the lowest of the compared OMol25 structures with the same formula, charge and spin = 5.0 kcal/mol
Structure (SMILES) = N#CC(Br)C#N
Orbital gap = 0.39523 Eh
********
Outcome:
Computed, not measured: an isolated molecule of C3HBrN2 at a distorted geometry, with wB97M-V/def2-TZVPD.

Atoms and positions in Å:
N -0.450 -1.974 -1.315
C -0.235 -1.175 -0.531
C 0.001 -0.088 0.378
Br 1.977 -0.151 0.686
C -0.304 1.291 -0.201
N -0.580 2.381 -0.432
H -0.409 -0.284 1.415

Forces on atoms 1 to 2 (eV/Å):
-0.1096 -0.7271 -0.4660
-0.5705 0.4709 -0.0486

Results
E_tot = -76148.1400 eV
Net charge = 0
Spin multiplicity = 1
Energy above the lowest of the compared OMol25 structures with the same formula, charge and spin = 5.0 kcal/mol
Structure (SMILES) = N#CC(Br)C#N
Orbital gap = 0.39523 Eh